**Source**
____________
The following is a PBE+U calculation of a geometry-optimized Li4Ti4Mn4CoO18 structure, from Materials Project.

Unit cell a=2.939 b=9.105 c=25.059 alpha=90.00 beta=90.00 gamma=90.00
Sites, in units of the cell vectors:
1 Li 0.500 0.705 0.194
2 O 0.500 0.111 0.743
3 Mn 0.500 0.518 0.315
4 Ti 0.000 0.646 0.805
5 O 0.500 0.497 0.424
6 O 0.000 0.552 0.942
7 O 0.500 0.611 0.757
8 Ti 0.500 0.004 0.398
9 Li 0.500 0.699 0.989
10 Ti 0.500 0.504 0.102
11 O 0.000 0.052 0.558
12 O 0.000 0.856 0.790
13 Ti 0.000 0.354 0.195
14 Mn 0.000 0.858 0.083
15 Mn 0.500 0.482 0.685
16 Ti 0.000 0.146 0.695
17 O 0.500 0.889 0.257
18 O 0.000 0.053 0.341
19 O 0.500 0.211 0.418
20 O 0.000 0.448 0.058
21 O 0.500 0.821 0.358
22 O 0.000 0.644 0.290
23 O 0.500 0.003 0.924
24 O 0.000 0.553 0.159
25 Mn 0.000 0.358 0.417
26 O 0.000 0.859 0.005
27 O 0.000 0.641 0.505
28 O 0.500 0.321 0.142
29 Li 0.500 0.801 0.489
30 O 0.500 0.503 0.576
31 O 0.000 0.948 0.442
32 Mn 0.500 0.982 0.815
33 Li 0.500 0.205 0.306
34 Li 0.500 0.301 0.011
35 Mn 0.500 0.018 0.185
36 O 0.500 0.997 0.076
37 Ti 0.500 0.496 0.898
38 Co 0.500 0.500 0.500
39 O 0.500 0.711 0.082
40 O 0.000 0.359 0.495
41 O 0.000 0.616 0.660
42 Mn 0.000 0.642 0.583
43 Mn 0.000 0.142 0.917
44 O 0.500 0.289 0.918
45 O 0.000 0.356 0.710
46 O 0.000 0.144 0.210
47 O 0.500 0.679 0.858
48 O 0.000 0.384 0.340
49 O 0.000 0.947 0.659
50 Li 0.500 0.795 0.694
51 Li 0.500 0.295 0.806
52 O 0.000 0.116 0.840
53 O 0.000 0.884 0.160
54 Li 0.500 0.199 0.511
55 O 0.500 0.179 0.642
56 O 0.000 0.447 0.841
57 Ti 0.000 0.854 0.305
58 Ti 0.500 0.996 0.602
59 O 0.500 0.789 0.582
60 Co 0.500 0.000 0.000
61 O 0.500 0.389 0.243
62 O 0.000 0.141 0.995

Computed properties:
Total moment in μB per cell: 30.00
Space-group type: Pbam

---

The following is a PBE+U calculation of a geometry-optimized Li3FeO2F structure, from Materials Project.

Unit cell a=3.592 b=8.789 c=9.707 alpha=90.00 beta=90.00 gamma=90.00
Sites, in units of the cell vectors:
1 Fe 0.000 0.383 0.405
2 O 0.500 0.105 0.116
3 Li 0.500 0.101 0.341
4 Li 0.000 0.399 0.841
5 Li 0.000 0.837 0.823
6 Li 0.000 0.163 0.177
7 O 0.000 0.167 0.380
8 O 0.500 0.667 0.120
9 Li 0.500 0.337 0.677
10 F 0.000 0.383 0.152
11 O 0.000 0.395 0.616
12 Li 0.000 0.601 0.159
13 Fe 0.500 0.883 0.095
14 Fe 0.500 0.117 0.905
15 Fe 0.000 0.617 0.595
16 F 0.500 0.117 0.652
17 Li 0.500 0.357 0.078
18 F 0.000 0.617 0.848
19 Li 0.000 0.857 0.422
20 Li 0.000 0.143 0.578
21 O 0.500 0.895 0.884
22 Li 0.500 0.899 0.659
23 O 0.000 0.833 0.620
24 Li 0.500 0.643 0.922
25 Li 0.500 0.663 0.323
26 F 0.500 0.883 0.348
27 O 0.000 0.605 0.384
28 O 0.500 0.333 0.880

Computed properties:
Total moment in μB per cell: 0.00
Space-group type: Pnnm

---

no.,DFT formation energy (meV/atom)
1,-2542
2,-2182
____________

**Assignment**
The reader should print everything above character by character.

**Written answer**
The following is a PBE+U calculation of a geometry-optimized Li4Ti4Mn4CoO18 structure, from Materials Project.

Unit cell a=2.939 b=9.105 c=25.059 alpha=90.00 beta=90.00 gamma=90.00
Sites, in units of the cell vectors:
1 Li 0.500 0.705 0.194
2 O 0.500 0.111 0.743
3 Mn 0.500 0.518 0.315
4 Ti 0.000 0.646 0.805
5 O 0.500 0.497 0.424
6 O 0.000 0.552 0.942
7 O 0.500 0.611 0.757
8 Ti 0.500 0.004 0.398
9 Li 0.500 0.699 0.989
10 Ti 0.500 0.504 0.102
11 O 0.000 0.052 0.558
12 O 0.000 0.856 0.790
13 Ti 0.000 0.354 0.195
14 Mn 0.000 0.858 0.083
15 Mn 0.500 0.482 0.685
16 Ti 0.000 0.146 0.695
17 O 0.500 0.889 0.257
18 O 0.000 0.053 0.341
19 O 0.500 0.211 0.418
20 O 0.000 0.448 0.058
21 O 0.500 0.821 0.358
22 O 0.000 0.644 0.290
23 O 0.500 0.003 0.924
24 O 0.000 0.553 0.159
25 Mn 0.000 0.358 0.417
26 O 0.000 0.859 0.005
27 O 0.000 0.641 0.505
28 O 0.500 0.321 0.142
29 Li 0.500 0.801 0.489
30 O 0.500 0.503 0.576
31 O 0.000 0.948 0.442
32 Mn 0.500 0.982 0.815
33 Li 0.500 0.205 0.306
34 Li 0.500 0.301 0.011
35 Mn 0.500 0.018 0.185
36 O 0.500 0.997 0.076
37 Ti 0.500 0.496 0.898
38 Co 0.500 0.500 0.500
39 O 0.500 0.711 0.082
40 O 0.000 0.359 0.495
41 O 0.000 0.616 0.660
42 Mn 0.000 0.642 0.583
43 Mn 0.000 0.142 0.917
44 O 0.500 0.289 0.918
45 O 0.000 0.356 0.710
46 O 0.000 0.144 0.210
47 O 0.500 0.679 0.858
48 O 0.000 0.384 0.340
49 O 0.000 0.947 0.659
50 Li 0.500 0.795 0.694
51 Li 0.500 0.295 0.806
52 O 0.000 0.116 0.840
53 O 0.000 0.884 0.160
54 Li 0.500 0.199 0.511
55 O 0.500 0.179 0.642
56 O 0.000 0.447 0.841
57 Ti 0.000 0.854 0.305
58 Ti 0.500 0.996 0.602
59 O 0.500 0.789 0.582
60 Co 0.500 0.000 0.000
61 O 0.500 0.389 0.243
62 O 0.000 0.141 0.995

Computed properties:
Total moment in μB per cell: 30.00
Space-group type: Pbam

---

The following is a PBE+U calculation of a geometry-optimized Li3FeO2F structure, from Materials Project.

Unit cell a=3.592 b=8.789 c=9.707 alpha=90.00 beta=90.00 gamma=90.00
Sites, in units of the cell vectors:
1 Fe 0.000 0.383 0.405
2 O 0.500 0.105 0.116
3 Li 0.500 0.101 0.341
4 Li 0.000 0.399 0.841
5 Li 0.000 0.837 0.823
6 Li 0.000 0.163 0.177
7 O 0.000 0.167 0.380
8 O 0.500 0.667 0.120
9 Li 0.500 0.337 0.677
10 F 0.000 0.383 0.152
11 O 0.000 0.395 0.616
12 Li 0.000 0.601 0.159
13 Fe 0.500 0.883 0.095
14 Fe 0.500 0.117 0.905
15 Fe 0.000 0.617 0.595
16 F 0.500 0.117 0.652
17 Li 0.500 0.357 0.078
18 F 0.000 0.617 0.848
19 Li 0.000 0.857 0.422
20 Li 0.000 0.143 0.578
21 O 0.500 0.895 0.884
22 Li 0.500 0.899 0.659
23 O 0.000 0.833 0.620
24 Li 0.500 0.643 0.922
25 Li 0.500 0.663 0.323
26 F 0.500 0.883 0.348
27 O 0.000 0.605 0.384
28 O 0.500 0.333 0.880

Computed properties:
Total moment in μB per cell: 0.00
Space-group type: Pnnm

---

no.,DFT formation energy (meV/atom)
1,-2542
2,-2182